• To do:
It remains to return the lines below word for word.

• Input:
____________
# 1
An optimized crystal structure of Mg7Si4. Source: Materials Project, functional PBE.

Cell: 5.211 5.926 14.034 Å, 85.22 85.76 85.49°
Space group P1 (No. 1)
One atom of each set of equivalent atoms:
Mg 0.000 0.000 0.000 x1
Mg 0.008 0.301 0.319 x1
Mg 0.163 0.835 0.452 x1
Mg 0.164 0.441 0.093 x1
Mg 0.274 0.604 0.879 x1
Mg 0.376 0.429 0.667 x1
Mg 0.426 0.930 0.633 x1
Mg 0.493 0.827 0.098 x1
Mg 0.673 0.280 0.151 x1
Mg 0.698 0.577 0.470 x1
Mg 0.759 0.876 0.816 x1
Mg 0.823 0.368 0.800 x1
Mg 0.907 0.167 0.606 x1
Mg 0.942 0.814 0.241 x1
Si 0.273 0.100 0.819 x1
Si 0.291 0.328 0.486 x1
Si 0.425 0.991 0.280 x1
Si 0.438 0.572 0.275 x1
Si 0.506 0.181 0.962 x1
Si 0.631 0.047 0.430 x1
Si 0.748 0.538 0.972 x1
Si 0.897 0.676 0.644 x1

Results
Energy of formation: 0.09 eV/atom
Crystal system: triclinic
E above lowest polymorph: 39 meV per atom



# 2
An optimized crystal structure of ScCuSi. Source: Materials Project, functional PBE.

Cell: 6.557 3.976 7.237 Å, 90.00 90.00 90.00°
Space group Pnma (No. 62)
One atom of each set of equivalent atoms:
Sc 0.009 0.250 0.195 x4
Cu 0.157 0.250 0.566 x4
Si 0.229 0.750 0.391 x4

Results
Energy of formation: -0.64 eV/atom
Crystal system: orthorhombic



# 3
An optimized crystal structure of CaTi2PbO6. Source: Materials Project, functional PBE.

Cell: 3.818 7.665 8.844 Å, 90.00 90.00 90.00°
Space group Amm2 (No. 38)
One atom of each set of equivalent atoms:
Ca 0.000 0.000 0.000 x2
Ti 0.500 0.247 0.287 x4
Pb 0.000 0.000 0.523 x2
O 0.000 0.249 0.340 x4
O 0.500 0.000 0.356 x2
O 0.500 0.000 0.819 x2
O 0.500 0.214 0.089 x4

Results
Energy of formation: -3.13 eV/atom
Crystal system: orthorhombic
E above lowest polymorph: 0 meV per atom



Copy entry 2 word for word.
An optimized crystal structure of ScCuSi. Source: Materials Project, functional PBE.

Cell: 6.557 3.976 7.237 Å, 90.00 90.00 90.00°
Space group Pnma (No. 62)
One atom of each set of equivalent atoms:
Sc 0.009 0.250 0.195 x4
Cu 0.157 0.250 0.566 x4
Si 0.229 0.750 0.391 x4

Results
Energy of formation: -0.64 eV/atom
Crystal system: orthorhombic



Q: The lowest energy of formation belongs to which entry?
A: CaTi2PbO6

* * * * *

#1
! Li2Si2NiO6, optimized geometry, DFT GGA+U; values from VASP
&SYSTEM
  ibrav = 0, nat = 44, ntyp = 4
/
ATOMIC_SPECIES
Si 28.09 Si.upf
O 16.00 O.upf
Li 6.94 Li.upf
Ni 58.69 Ni.upf
ATOMIC_POSITIONS crystal
Si 0.9685 0.6686 0.1106
Si 0.6027 0.8304 0.4719
Si 0.0949 0.3346 0.9734
Si 0.1026 0.9165 0.4725
Si 0.9664 0.5817 0.6097
Si 0.4785 0.1685 0.5888
Si 0.5976 0.4208 0.9727
Si 0.4794 0.0831 0.0872
O 0.0983 0.7434 0.0727
O 0.0496 0.9919 0.5934
O 0.0872 0.6360 0.3892
O 0.5991 0.8318 0.1537
O 0.5992 0.2439 0.5349
O 0.1602 0.0847 0.0889
O 0.1031 0.9141 0.1540
O 0.0945 0.3364 0.6544
O 0.5982 0.1396 0.8734
O 0.8852 0.8612 0.5922
O 0.3777 0.3657 0.0928
O 0.6031 0.0084 0.0315
O 0.0870 0.6142 0.8890
O 0.5576 0.4959 0.0996
O 0.1599 0.1654 0.5913
O 0.5595 0.7556 0.5979
O 0.0927 0.5067 0.5718
O 0.8781 0.3898 0.0929
O 0.5981 0.1125 0.3728
O 0.6502 0.6677 0.1030
O 0.3854 0.8861 0.5921
O 0.5933 0.4192 0.6546
O 0.6481 0.5830 0.6023
O 0.0436 0.2595 0.0961
Li 0.9389 0.4191 0.4923
Li 0.9459 0.8309 0.9911
Li 0.4550 0.9166 0.9878
Li 0.4498 0.3344 0.4880
Li 0.4849 0.5837 0.9468
Li 0.9939 0.0819 0.4447
Li 0.9938 0.1685 0.9456
Li 0.4858 0.6669 0.4465
Ni 0.4591 0.7494 0.9614
Ni 0.9742 0.2510 0.4689
Ni 0.9768 0.9994 0.9665
Ni 0.4535 0.5010 0.4622
CELL_PARAMETERS angstrom
4.6910 -2.0572 0.1718
7.6348 17.1648 -5.1716
0.2931 1.3383 4.9425
! Calculated volume = 11.64 Å³/atom



#2
! Li2Si2NiO6, optimized geometry, DFT GGA+U; values from VASP
&SYSTEM
  ibrav = 0, nat = 44, ntyp = 4
/
ATOMIC_SPECIES
O 16.00 O.upf
Li 6.94 Li.upf
Si 28.09 Si.upf
Ni 58.69 Ni.upf
ATOMIC_POSITIONS crystal
O 0.8871 0.8834 0.3756
O 0.1187 0.1133 0.6258
O 0.9925 0.9918 0.7489
O 0.8850 0.8813 0.8756
O 0.8643 0.3749 0.3990
O 0.1304 0.6287 0.5997
O 0.6246 0.1408 0.6476
O 0.1159 0.1157 0.1248
O 0.2326 0.4867 0.7943
O 0.4911 0.2320 0.9570
O 0.5099 0.7677 0.0431
O 0.0087 0.0026 0.4994
____________

• Completed:
# 1
An optimized crystal structure of Mg7Si4. Source: Materials Project, functional PBE.

Cell: 5.211 5.926 14.034 Å, 85.22 85.76 85.49°
Space group P1 (No. 1)
One atom of each set of equivalent atoms:
Mg 0.000 0.000 0.000 x1
Mg 0.008 0.301 0.319 x1
Mg 0.163 0.835 0.452 x1
Mg 0.164 0.441 0.093 x1
Mg 0.274 0.604 0.879 x1
Mg 0.376 0.429 0.667 x1
Mg 0.426 0.930 0.633 x1
Mg 0.493 0.827 0.098 x1
Mg 0.673 0.280 0.151 x1
Mg 0.698 0.577 0.470 x1
Mg 0.759 0.876 0.816 x1
Mg 0.823 0.368 0.800 x1
Mg 0.907 0.167 0.606 x1
Mg 0.942 0.814 0.241 x1
Si 0.273 0.100 0.819 x1
Si 0.291 0.328 0.486 x1
Si 0.425 0.991 0.280 x1
Si 0.438 0.572 0.275 x1
Si 0.506 0.181 0.962 x1
Si 0.631 0.047 0.430 x1
Si 0.748 0.538 0.972 x1
Si 0.897 0.676 0.644 x1

Results
Energy of formation: 0.09 eV/atom
Crystal system: triclinic
E above lowest polymorph: 39 meV per atom



# 2
An optimized crystal structure of ScCuSi. Source: Materials Project, functional PBE.

Cell: 6.557 3.976 7.237 Å, 90.00 90.00 90.00°
Space group Pnma (No. 62)
One atom of each set of equivalent atoms:
Sc 0.009 0.250 0.195 x4
Cu 0.157 0.250 0.566 x4
Si 0.229 0.750 0.391 x4

Results
Energy of formation: -0.64 eV/atom
Crystal system: orthorhombic



# 3
An optimized crystal structure of CaTi2PbO6. Source: Materials Project, functional PBE.

Cell: 3.818 7.665 8.844 Å, 90.00 90.00 90.00°
Space group Amm2 (No. 38)
One atom of each set of equivalent atoms:
Ca 0.000 0.000 0.000 x2
Ti 0.500 0.247 0.287 x4
Pb 0.000 0.000 0.523 x2
O 0.000 0.249 0.340 x4
O 0.500 0.000 0.356 x2
O 0.500 0.000 0.819 x2
O 0.500 0.214 0.089 x4

Results
Energy of formation: -3.13 eV/atom
Crystal system: orthorhombic
E above lowest polymorph: 0 meV per atom



Copy entry 2 word for word.
An optimized crystal structure of ScCuSi. Source: Materials Project, functional PBE.

Cell: 6.557 3.976 7.237 Å, 90.00 90.00 90.00°
Space group Pnma (No. 62)
One atom of each set of equivalent atoms:
Sc 0.009 0.250 0.195 x4
Cu 0.157 0.250 0.566 x4
Si 0.229 0.750 0.391 x4

Results
Energy of formation: -0.64 eV/atom
Crystal system: orthorhombic



Q: The lowest energy of formation belongs to which entry?
A: CaTi2PbO6

* * * * *

#1
! Li2Si2NiO6, optimized geometry, DFT GGA+U; values from VASP
&SYSTEM
  ibrav = 0, nat = 44, ntyp = 4
/
ATOMIC_SPECIES
Si 28.09 Si.upf
O 16.00 O.upf
Li 6.94 Li.upf
Ni 58.69 Ni.upf
ATOMIC_POSITIONS crystal
Si 0.9685 0.6686 0.1106
Si 0.6027 0.8304 0.4719
Si 0.0949 0.3346 0.9734
Si 0.1026 0.9165 0.4725
Si 0.9664 0.5817 0.6097
Si 0.4785 0.1685 0.5888
Si 0.5976 0.4208 0.9727
Si 0.4794 0.0831 0.0872
O 0.0983 0.7434 0.0727
O 0.0496 0.9919 0.5934
O 0.0872 0.6360 0.3892
O 0.5991 0.8318 0.1537
O 0.5992 0.2439 0.5349
O 0.1602 0.0847 0.0889
O 0.1031 0.9141 0.1540
O 0.0945 0.3364 0.6544
O 0.5982 0.1396 0.8734
O 0.8852 0.8612 0.5922
O 0.3777 0.3657 0.0928
O 0.6031 0.0084 0.0315
O 0.0870 0.6142 0.8890
O 0.5576 0.4959 0.0996
O 0.1599 0.1654 0.5913
O 0.5595 0.7556 0.5979
O 0.0927 0.5067 0.5718
O 0.8781 0.3898 0.0929
O 0.5981 0.1125 0.3728
O 0.6502 0.6677 0.1030
O 0.3854 0.8861 0.5921
O 0.5933 0.4192 0.6546
O 0.6481 0.5830 0.6023
O 0.0436 0.2595 0.0961
Li 0.9389 0.4191 0.4923
Li 0.9459 0.8309 0.9911
Li 0.4550 0.9166 0.9878
Li 0.4498 0.3344 0.4880
Li 0.4849 0.5837 0.9468
Li 0.9939 0.0819 0.4447
Li 0.9938 0.1685 0.9456
Li 0.4858 0.6669 0.4465
Ni 0.4591 0.7494 0.9614
Ni 0.9742 0.2510 0.4689
Ni 0.9768 0.9994 0.9665
Ni 0.4535 0.5010 0.4622
CELL_PARAMETERS angstrom
4.6910 -2.0572 0.1718
7.6348 17.1648 -5.1716
0.2931 1.3383 4.9425
! Calculated volume = 11.64 Å³/atom



#2
! Li2Si2NiO6, optimized geometry, DFT GGA+U; values from VASP
&SYSTEM
  ibrav = 0, nat = 44, ntyp = 4
/
ATOMIC_SPECIES
O 16.00 O.upf
Li 6.94 Li.upf
Si 28.09 Si.upf
Ni 58.69 Ni.upf
ATOMIC_POSITIONS crystal
O 0.8871 0.8834 0.3756
O 0.1187 0.1133 0.6258
O 0.9925 0.9918 0.7489
O 0.8850 0.8813 0.8756
O 0.8643 0.3749 0.3990
O 0.1304 0.6287 0.5997
O 0.6246 0.1408 0.6476
O 0.1159 0.1157 0.1248
O 0.2326 0.4867 0.7943
O 0.4911 0.2320 0.9570
O 0.5099 0.7677 0.0431
O 0.0087 0.0026 0.4994